(Data)
(1)
This record from the Materials Project database describes a relaxed structure of Sr2FeSnO6. The functional is PBE+U.

Geometry as extended XYZ:
```
40
Lattice="4.074 -8.062 0.000 4.074 8.062 0.000 0.000 0.000 8.060" Properties=species:S:1:pos:R:3 pbc="T T T"
Sr 2.037 4.031 0.000
Sr 2.037 4.031 4.030
Sr 2.030 0.000 0.000
Sr 2.030 0.000 4.030
Sr 2.037 -4.031 0.000
Sr 2.037 -4.031 4.030
Sr 6.118 0.000 0.000
Sr 6.118 0.000 4.030
Fe 4.074 6.048 6.045
Fe 4.074 2.014 2.015
Fe 4.074 -2.014 6.045
Fe 4.074 -6.048 2.015
Sn 4.074 6.045 2.015
Sn 4.074 2.017 6.045
Sn 4.074 -2.017 2.015
Sn 4.074 -6.045 6.045
O 4.074 8.024 6.045
O 1.982 2.015 2.015
O 4.074 6.056 4.073
O 4.074 6.056 8.016
O 2.036 2.014 6.045
O 4.074 4.075 6.045
O 4.074 4.002 2.015
O 1.982 -2.015 6.045
O 2.036 -2.014 2.015
O 4.074 2.016 0.034
O 4.074 2.016 3.996
O 4.074 0.039 2.015
O 4.074 -0.039 6.045
O 4.074 -2.016 4.064
O 4.074 -2.016 8.026
O 6.112 2.014 6.045
O 6.166 2.015 2.015
O 4.074 -4.002 6.045
O 4.074 -4.075 2.015
O 6.112 -2.014 2.015
O 4.074 -6.056 0.044
O 4.074 -6.056 3.986
O 6.166 -2.015 6.045
O 4.074 -8.024 2.015
```

Results
The value obtained for the mass density is 5593 kg/m³. The calculation puts the energy of formation at -2.3738 eV/atom. Its MP2020-corrected energy is -6.93 eV/atom. Its symmetry is Cmcm (63).



(2)
This record from the Materials Project database describes a relaxed structure of Sr2FeSnO6. The functional is PBE+U.

Geometry as extended XYZ:
```
10
Lattice="0.000 4.026 4.026 4.026 0.000 4.026 4.026 4.026 0.000" Properties=species:S:1:pos:R:3 pbc="T T T"
Sr 2.013 2.013 2.013
Sr 6.038 6.038 6.038
Fe 0.000 0.000 0.000
Sn 4.026 4.026 4.026
O 4.026 4.026 1.971
O 4.026 1.971 4.026
O 6.080 4.026 4.026
O 1.971 4.026 4.026
O 4.026 6.080 4.026
O 4.026 4.026 6.080
```

Results
The value obtained for the mass density is 5673 kg/m³. The calculation puts the energy of formation at -2.3766 eV/atom. Its MP2020-corrected energy is -6.93 eV/atom. Its symmetry is Fm-3m (225).



(3)
This record from the Materials Project database describes a relaxed structure of SrFeSnWO6. The functional is PBE+U.

Geometry as extended XYZ:
```
10
Lattice="0.000 4.017 4.017 4.017 0.000 4.017 4.017 4.017 0.000" Properties=species:S:1:pos:R:3 pbc="T T T"
Sr 0.000 0.000 0.000
Fe 6.025 6.025 6.025
Sn 4.017 4.017 4.017
W 2.008 2.008 2.008
O 2.008 2.008 0.034
O 2.008 0.034 2.008
O 3.983 2.008 2.008
O 0.034 2.008 2.008
O 2.008 3.983 2.008
O 2.008 2.008 3.983
```

Results
The value obtained for the mass density is 6945 kg/m³. The calculation puts the energy of formation at -2.0967 eV/atom. Its MP2020-corrected energy is -7.78 eV/atom. Its symmetry is F-43m (216).



(4)
This record from the Materials Project database describes a relaxed structure of Sr4Fe6O13. The functional is PBE+U.

Geometry as extended XYZ:
```
46
Lattice="-5.572 9.942 2.730 5.572 -9.942 2.730 5.572 9.942 -2.730" Properties=species:S:1:pos:R:3 pbc="T T T"
Sr 1.426 3.094 0.000
Sr 6.993 3.246 0.038
Sr 1.421 6.696 0.038
Sr 6.998 6.848 0.000
Sr -1.426 3.094 2.730
Sr 4.150 3.246 2.768
Sr -1.421 6.696 2.768
Sr 4.146 6.848 2.730
Fe 4.415 0.958 -0.016
Fe 4.198 4.934 0.033
Fe 4.198 -4.934 2.763
Fe 4.135 9.262 -0.367
Fe 4.415 -0.958 2.714
Fe 1.437 0.679 2.364
Fe 1.157 10.900 -0.016
Fe 1.373 14.876 0.033
Fe 1.373 5.008 2.763
Fe -4.135 9.262 2.364
Fe 1.157 8.983 2.714
Fe 4.135 10.621 2.364
O 2.776 4.925 -1.326
O 2.776 -4.925 1.405
O 5.545 5.160 -1.356
O 8.664 -0.719 0.548
O 4.722 -0.921 0.722
O 9.664 2.502 0.032
O 2.479 0.719 0.548
O 4.299 2.872 0.117
O 6.422 0.921 0.722
O 0.000 0.000 1.137
O 4.299 -2.872 2.847
O 4.092 7.440 0.032
O 0.027 4.781 1.375
O 2.796 14.866 -1.326
O 2.796 5.017 1.405
O 5.599 5.160 1.375
O 2.479 -0.719 3.279
O 0.850 9.020 0.722
O 1.480 2.502 2.762
O 3.093 10.661 0.548
O 1.272 12.813 0.117
O -0.850 10.863 0.722
O 0.000 0.000 3.867
O 1.272 7.070 2.847
O -4.092 7.440 2.762
O -0.027 4.781 4.105
```

Results
(Brief)
Your job: print every line further above that contains the word "mass".
(Outcome)
The value obtained for the mass density is 5593 kg/m³. The calculation puts the energy of formation at -2.3738 eV/atom. Its MP2020-corrected energy is -6.93 eV/atom. Its symmetry is Cmcm (63).
The value obtained for the mass density is 5673 kg/m³. The calculation puts the energy of formation at -2.3766 eV/atom. Its MP2020-corrected energy is -6.93 eV/atom. Its symmetry is Fm-3m (225).
The value obtained for the mass density is 6945 kg/m³. The calculation puts the energy of formation at -2.0967 eV/atom. Its MP2020-corrected energy is -7.78 eV/atom. Its symmetry is F-43m (216).